On December 7th, we held our first hands-on activity to get the community mural started. Visitors at Stitches made 3″ squares that will be the border for the center panel (a Mariner’s Compass design) of a quilt-themed mosaic mural. We had participants of all ages, so the squares are stylistically very diverse. Some were made by experienced quilters who created intricate geometrical patterns from the glass tiles. Some were made by 5-year-olds with adult supervision, and are much more “abstract.” The beauty of it is that all participants will be able to come back years, even decades, from now and point to the square they made.

Between two parts of the article: materials data:
The following is a GGA-PBE calculation of an optimized crystal structure of GdURu, from Alexandria.

Cell and atoms, written as CIF:
```
data_GdURu
_chemical_formula_sum 'Gd2 U2 Ru2'
_symmetry_space_group_name_H-M 'I 4 m m'
_symmetry_Int_Tables_number 107
_symmetry_space_group_name_Hall 'I 4 -2'
_cell_length_a 3.484
_cell_length_b 3.484
_cell_length_c 10.916
_cell_angle_alpha 90.00
_cell_angle_beta 90.00
_cell_angle_gamma 90.00
loop_
_atom_site_label
_atom_site_type_symbol
_atom_site_fract_x
_atom_site_fract_y
_atom_site_fract_z
Gd1 Gd 0.000 0.000 0.000
U1 U 0.000 0.000 0.699
Ru1 Ru 0.000 0.000 0.300
```

E above lowest polymorph = 0.00 eV per formula unit
Calculated formation energy = -0.0979 eV/atom
Final energy = -11.6462 eV/atom


{"formula": "TlPb2", "functional": "PBE-GGA", "state": "optimized geometry", "spacegroup": "P6_3/mmc, No. 194", "e_tot_ev_per_cell": -19.15, "relative_energy_mev_per_atom": 83, "vol_a3_per_fu": 94.8, "formation_energy_ev_per_atom": 0.069, "lattice_angstrom": [[-2.410, 3.172, -4.055], [0.110, -5.660, -0.509], [-5.948, -0.405, 3.219]], "species": ["Pb", "Pb", "Pb", "Pb", "Tl", "Tl"], "frac_coords": [[0.000, 0.000, 0.000], [0.333, 0.667, 0.250], [0.000, 0.000, 0.500], [0.667, 0.333, 0.750], [0.333, 0.667, 0.750], [0.667, 0.333, 0.250]]}


{"formula": "Tl3Pb8", "functional": "PBE-GGA", "state": "optimized geometry", "spacegroup": "R-3m, No. 166", "e_tot_ev_per_cell": -34.67, "relative_energy_mev_per_atom": 165, "vol_a3_per_fu": 386.1, "formation_energy_ev_per_atom": 0.191, "lattice_angstrom": [[7.285, 0.017, 0.016], [0.202, 7.282, 0.016], [0.202, 0.197, 7.279]], "species": ["Pb", "Pb", "Pb", "Pb", "Pb", "Pb", "Pb", "Pb", "Tl", "Tl", "Tl"], "frac_coords": [[0.787, 0.787, 0.140], [0.213, 0.860, 0.213], [0.140, 0.787, 0.787], [0.376, 0.376, 0.376], [0.860, 0.213, 0.213], [0.213, 0.213, 0.860], [0.624, 0.624, 0.624], [0.787, 0.140, 0.787], [0.500, 0.500, 0.000], [0.500, 0.000, 0.500], [0.000, 0.500, 0.500]]}


{"formula": "Tl3Pb", "functional": "PBE-GGA", "state": "optimized geometry", "spacegroup": "Pnma, No. 62", "e_tot_ev_per_cell": -43.20, "relative_energy_mev_per_atom": 1, "vol_a3_per_fu": 124.0, "formation_energy_ev_per_atom": 0.002, "lattice_angstrom": [[7.129, 0.000, 0.000], [0.000, 6.262, 0.000], [0.000, 0.000, 11.112]], "species": ["Tl", "Tl", "Tl", "Tl", "Tl", "Tl", "Tl", "Tl", "Tl", "Tl", "Tl", "Tl", "Pb", "Pb", "Pb", "Pb"], "frac_coords": [[0.625, 0.247, 0.002], [0.375, 0.753, 0.502], [0.623, 0.580, 0.250], [0.877, 0.080, 0.250], [0.125, 0.253, 0.998], [0.875, 0.747, 0.002], [0.625, 0.247, 0.498], [0.123, 0.920, 0.750], [0.875, 0.747, 0.498], [0.125, 0.253, 0.502], [0.377, 0.420, 0.750], [0.375, 0.753, 0.998], [0.871, 0.424, 0.750], [0.129, 0.576, 0.250], [0.629, 0.924, 0.750], [0.371, 0.076, 0.250]]}

We held a raffle to pay for time and materials, and the winner was Katy, the owner of Blackbeard’s Brewery. She also made some squares, including this one, which took her half the day!

The next step is fundraising. Michele has been engaging local businesses, who are sponsoring the 12″ outside squares. (Each one will have a 1″ border as well, in keeping with the quilt-style.) Each sponsor will be acknowledged on a fused glass tile incorporated into a plaque installed below the mural, at eye level. $500-level sponsors will be in the largest font, then $100+ at a bit smaller size, then anyone donating over $50 will be listed in smaller font. Sizes will be determined at the end of the process to make sure everything fits legibly on an 18″ by 24″ plaque, along with a paragraph explaining how this mural was made by and for the Westport community. We’ll make sure to include sponsor info in any publicity, and plan to give each sponsor a photo of the completed project with a thank you that can be framed and hung on the wall. I also like to make photo books of projects like these, that will be available to order online.

These initial sponsorships will cover the cost of materials, allowing me to make an order in January so that we can start creating the rest of the mural. This will be a relatively controlled project, with individual participants creating each square. Many of the sponsors wish to mosaic their own square, and I will coach them through the process. Stitches will host at least one mosaic party this winter where participants will be able to sign up to make remaining squares (details TBA.) And I plan to engage students at the local high school to fill in the center panel. Once all of the sections are completed, I will welcome volunteers to help piece them together onto the tile board sections and grout the whole mural together.

The timeline for this project will depend on fundraising and participation outcomes, so there’s no set installation date, but I really think it will be a smooth process and I hope to see it up this spring, before the tourist season begins. I recently created a budget for this project and the total we hope to raise is $7000. This will cover time, materials, travel, and installation. At least one local business plans to throw a fundraiser with live music, and I have a Go Fund Me already in place that is for community projects broadly, but I am happy to allocate your contribution specifically to this mural.
https://www.gofundme.com/f/jk-community-mosaic-projects Contact me: jennifer@jkmosaic.com for more info.
These girls did a great job!